____________
1.
Structure and calculated XRD peak list of Rb4Ag3Br10 (a DFT-relaxed cell (GGA-PBE, Alexandria); CuKα).

```
Rb4Ag3Br10
1.0
-2.715 2.715 19.475
2.715 -2.715 19.475
2.715 2.715 -19.475
Rb Ag Br
4 3 10
direct
0.069 0.069 0.000
0.200 0.200 0.000
0.800 0.800 0.000
0.931 0.931 0.000
0.359 0.359 0.000
0.500 0.500 0.000
0.641 0.641 0.000
0.000 0.500 0.500
0.137 0.637 0.500
0.289 0.289 0.000
0.363 0.863 0.500
0.431 0.431 0.000
0.500 0.000 0.500
0.569 0.569 0.000
0.637 0.137 0.500
0.711 0.711 0.000
0.863 0.363 0.500
```

Main lines, sorted by position (2θ from 15° to 90°):
- 16.48 deg, rel. 27
- 22.88 deg, rel. 23
- 23.16 deg, rel. 30
- 29.63 deg, rel. 55
- 32.17 deg, rel. 41
- 32.99 deg, rel. 100
- 46.75 deg, rel. 56
- 47.35 deg, rel. 36
- 58.40 deg, rel. 30
- 87.69 deg, rel. 19



2.
Structure and calculated XRD peak list of Rb3Ag2Br6 (a DFT-relaxed cell (GGA-PBE, Alexandria); CuKα).

```
Rb3Ag2Br6
1.0
-2.649 2.649 14.316
2.649 -2.649 14.316
2.649 2.649 -14.316
Rb Ag Br
3 2 6
direct
0.000 0.000 0.000
0.182 0.182 0.000
0.818 0.818 0.000
0.399 0.399 0.000
0.601 0.601 0.000
0.082 0.582 0.500
0.302 0.302 0.000
0.418 0.918 0.500
0.582 0.082 0.500
0.698 0.698 0.000
0.918 0.418 0.500
```

Main lines, sorted by position (2θ from 15° to 90°):
- 22.87 deg, rel. 49
- 23.75 deg, rel. 27
- 24.56 deg, rel. 32
- 27.55 deg, rel. 22
- 30.33 deg, rel. 56
- 31.24 deg, rel. 31
- 33.84 deg, rel. 100
- 39.62 deg, rel. 21
- 46.71 deg, rel. 39
- 48.60 deg, rel. 35



3.
Structure and calculated XRD peak list of Rb2AgBr4 (a DFT-relaxed cell (GGA-PBE, Alexandria); CuKα).

```
Rb2AgBr4
1.0
7.781 0.000 0.000
0.000 7.781 0.000
0.000 0.000 4.622
Rb Ag Br
2 1 4
direct
0.000 0.500 0.000
0.500 0.000 0.000
0.000 0.000 0.500
0.238 0.238 0.500
0.238 0.762 0.500
0.762 0.238 0.500
0.762 0.762 0.500
```

Main lines, sorted by position (2θ from 15° to 90°):
- 19.20 deg, rel. 37
- 25.16 deg, rel. 88
- 30.02 deg, rel. 100
- 32.55 deg, rel. 100
- 38.97 deg, rel. 31
- 41.58 deg, rel. 43
- 46.70 deg, rel. 34
- 51.66 deg, rel. 52
- 56.52 deg, rel. 30
- 62.40 deg, rel. 28

~~~~~

Structure and computed X-ray diffraction stick pattern of Pm15SmTm4 (the GGA-PBE geometry in Alexandria; Cu Kα).
Peak positions follow from Bragg's law for the DFT cell and can differ from measured ones.

Top 10 peaks for 2θ from 10° to 90°, sorted by position:
Position (°2θ)  Rel. int.  (hkl)
30.3  100  1 1 5
35.1  34  2 0 0
35.2  17  0 0 10
50.5  36  2 2 0
60.0  29  3 1 5
60.1  14  1 1 15
63.0  12  2 2 10
82.1  6  3 3 5
82.3  12  3 1 15
84.7  6  4 2 0

Cell and atoms:
```
data_Pm15SmTm4
_chemical_formula_sum 'Pm15 Sm1 Tm4'
_cell_length_a 5.1179
_cell_length_b 5.1179
_cell_length_c 25.4955
_cell_angle_alpha 90.00
_cell_angle_beta 90.00
_cell_angle_gamma 90.00
_symmetry_space_group_name_H-M 'P 4/m m m'
_symmetry_Int_Tables_number 123
_symmetry_space_group_name_Hall '-P 4 2'
loop_
_atom_site_label
_atom_site_fract_x
_atom_site_fract_y
_atom_site_fract_z
Pm1 0.0000 0.0000 0.0000
Pm2 0.0000 0.0000 0.2015
Pm3 0.0000 0.0000 0.4004
Pm4 0.0000 0.5000 0.1015
Pm5 0.0000 0.5000 0.3007
Pm6 0.0000 0.5000 0.5000
Sm1 0.5000 0.5000 0.0000
Tm1 0.5000 0.5000 0.2012
Tm2 0.5000 0.5000 0.4004
```

=====

Structure and computed X-ray diffraction stick pattern of PmSm6Tm3 (the GGA-PBE geometry in Alexandria; Cu Kα).
Peak positions follow from Bragg's law for the DFT cell and can differ from measured ones.

Top 10 peaks for 2θ from 10° to 90°, sorted by position:
Position (°2θ)  Rel. int.  (hkl)
28.5  65  2 4 1
28.8  40  0 6 1
30.9  63  1 7 0
31.2  100  3 1 1
32.0  59  1 3 2
32.6  43  0 4 2
33.4  67  3 3 1
34.3  28  2 6 1
56.1  41  5 7 0
56.7  33  6 0 0

Cell and atoms:
```
data_PmSm6Tm3
_chemical_formula_sum 'Pm4 Sm24 Tm12'
_cell_length_a 9.7420
_cell_length_b 21.1982
_cell_length_c 6.4188
_cell_angle_alpha 90.00
_cell_angle_beta 90.00
_cell_angle_gamma 90.00
_symmetry_space_group_name_H-M 'C m c 21'
_symmetry_Int_Tables_number 36
loop_
_symmetry_equiv_pos_as_xyz
'x,y,z'
'-x,-y,z+1/2'
'-x,y,z'
'x,-y,z+1/2'
'x+1/2,y+1/2,z'
____________

Search the block earlier on for the word "hkl" and write out each line that has it, please.

Position (°2θ)  Rel. int.  (hkl)
Position (°2θ)  Rel. int.  (hkl)